
IPv6: Do or die

Staff Writer
By Staff Writer, ITWeb
Johannesburg, 14 Dec 2012

Internet protocol version 6 (IPv6) is the key to a bigger, better Internet, and will form the backbone of the world's next-generation broadband networks.

So says Johannesburg-based broadband company, BWired.

At present, the Internet has some 4.3 billion IP addresses, which was thought to be more than enough when the current IPv4 addressing scheme was created in 1977, according to BWired.

But with the Internet becoming all-pervasive, it is likely that practically everything will be connected to the Internet within the next few years. As a result, 4.3 billion unique addresses do not seem like such a large number, the company says.

With the launch of IPv6, the number of unique Web addresses can now grow to 340 trillion, trillion, trillion. Industry data suggests the current IPv4 addresses are rapidly being exhausted.

RIPE, the European Internet registry, is down to its final block (16 million) of IPv4 addresses, and ARIN, the regional Internet registry for the Americas, has only three blocks remaining.

Attached: records of molecules:
........
# C38H61As2I3N4O8PSiV

C38H61As2I3N4O8PSiV as an isolated structure (ωB97M-V/def2-TZVPD, the OMol25 dataset).

XYZ file:
```
119
Properties=species:S:1:pos:R:3:forces:R:3:mulliken_spin:R:1
V 9.5741 13.8410 11.2184 -0.2 -1.1 -0.3 1.281
I 9.2499 15.1778 14.1845 -0.1 0.3 0.2 0.095
C 10.3923 15.8269 15.7776 -0.7 -1.1 -0.5 0.825
I 11.5515 15.3873 10.8967 0.5 0.1 0.0 -0.006
H 10.2598 15.0614 16.5556 0.7 1.2 0.1 0.008
H 10.7051 16.8649 15.7372 0.1 -0.3 0.5 0.066
C 10.7125 13.2867 7.7394 0.7 0.4 -0.5 -0.024
Si 9.2325 13.9935 8.6409 -0.1 0.4 0.3 -0.146
C 8.8928 15.7681 8.1456 0.7 1.1 1.2 -0.007
C 7.6861 13.2204 7.9274 -0.7 -1.2 -0.2 -0.003
C 7.0679 12.0944 8.5115 -0.8 0.6 -0.5 -0.010
C 5.8099 11.6716 8.0780 -0.5 -0.3 0.2 0.001
C 5.1654 12.2835 6.9822 1.0 -0.4 0.5 -0.001
C 5.8392 13.3135 6.3057 -0.3 -0.2 -0.1 -0.001
C 7.0622 13.7822 6.7875 0.6 -0.1 -0.3 -0.010
H 10.7115 13.5076 6.6486 -0.2 -0.2 0.6 -0.003
H 10.7592 12.2125 7.8827 0.0 -0.3 0.0 0.013
H 11.6462 13.7063 8.1395 -0.2 -0.1 0.0 0.003
H 9.1591 15.9593 7.1100 0.4 0.1 -0.1 0.002
H 9.4675 16.4619 8.8319 -0.6 -0.5 -1.0 0.017
H 7.8363 16.0352 8.2344 0.1 -0.2 0.2 -0.008
H 7.4856 11.5431 9.3487 0.3 0.4 0.1 0.015
H 5.3199 10.8557 8.6723 0.3 0.7 -0.9 0.000
H 4.2292 11.8562 6.6380 0.0 0.3 0.0 0.000
H 5.4187 13.7497 5.3802 0.2 -0.3 0.7 0.000
H 7.6084 14.5463 6.1857 -0.7 -0.5 0.8 0.000
I 7.1733 14.7084 11.3614 -0.2 0.0 -0.1 -0.010
C 9.5997 20.8903 16.5694 -0.2 0.5 -1.0 0.000
O 9.0051 21.0379 15.2442 1.3 -0.6 0.7 -0.001
C 9.7812 20.4534 14.2909 -0.3 0.5 0.1 0.004
O 10.8091 19.8342 14.4981 -0.9 0.5 0.2 0.001
C 9.2103 20.6793 12.9432 0.3 0.0 0.5 0.063
C 8.6060 21.8156 12.5825 1.0 -0.7 -0.6 -0.049
As 8.3899 22.2998 10.6611 0.7 0.1 -1.5 0.115
C 10.1378 23.2804 10.4073 -1.0 -0.6 0.7 0.004
C 9.0158 20.6896 9.6460 0.2 0.5 -0.7 0.096
C 8.4716 19.5703 10.3151 -1.1 -0.7 0.5 0.628
As 9.3850 19.0083 11.9988 -0.8 -0.4 -1.5 0.010
C 11.1207 19.2054 11.1315 0.9 -0.6 -0.3 0.001
C 7.0384 19.1166 10.1812 1.3 -1.3 0.4 -0.045
O 6.3761 18.9012 11.1868 0.2 0.4 -0.9 0.096
O 6.5066 18.6416 8.9818 -0.8 0.5 -0.1 0.008
C 6.5280 19.2918 7.7081 1.1 0.6 -0.3 0.009
C 9.7962 20.7016 8.3957 -1.6 -1.1 2.8 0.016
O 10.5846 19.8273 8.0589 -0.3 0.0 -0.5 0.033
O 9.5381 21.7938 7.6611 -0.1 1.0 -2.2 0.009
C 9.7270 21.6283 6.2295 2.3 1.4 1.0 -0.001
C 8.3615 22.9540 13.5061 0.0 0.6 -0.2 0.008
O 9.1192 23.9066 13.5749 -1.0 -1.0 0.4 -0.001
O 7.1877 22.9344 14.1907 0.1 0.8 -0.3 0.000
C 6.1500 21.9634 13.9383 0.6 -0.5 0.2 0.000
H 9.0226 21.5522 17.2107 0.2 0.0 0.0 0.000
H 10.6666 21.1702 16.4824 -0.6 -0.3 0.4 0.000
H 9.4505 19.8540 16.8455 0.3 -0.2 0.4 0.000
H 10.1107 24.1078 11.1008 0.4 0.4 0.0 0.003
H 10.1169 23.5562 9.3652 0.1 0.3 -0.2 -0.002
H 10.9361 22.5603 10.5866 0.0 0.2 0.2 -0.003
H 11.2775 20.2336 10.7736 -0.1 -0.5 0.0 0.006
H 11.1928 18.4604 10.2785 -0.2 1.1 0.9 -0.009
H 11.8932 18.9490 11.8658 0.0 0.1 -0.1 0.001
H 5.7857 18.8289 7.0047 0.8 0.0 0.9 0.001
H 6.2642 20.3616 7.7579 0.0 -0.3 0.3 0.001
H 7.5665 19.2605 7.2898 -0.8 -0.2 0.1 -0.009
........
So much for the records of molecules:

Willie Olivier, CTO at BWired, says IPv6 has major implications for practically everyone: government, business, Internet service providers (ISP) and consumers.

Between two parts of the text: molecular data =
# 1
Here is a molecular structure, C19H17N3O2SV from the Open Molecules 2025 dataset. Energies are from the ωB97M-V functional and the def2-TZVPD basis.

Each line ends with the Mulliken charge.
Positions of all 43 atoms, in Å:
V: -0.335 -0.460 -1.751  0.82
C: 0.812 2.733 -4.181  -1.39
C: 0.838 1.815 -3.005  0.88
O: 0.008 0.785 -3.111  -0.79
C: 1.672 2.016 -1.937  -1.03
C: 1.880 1.153 -0.805  1.11
C: 2.907 1.523 0.226  -1.38
N: 1.185 0.054 -0.685  0.33
N: 1.533 -0.834 0.371  -0.73
C: 0.836 -1.915 0.235  0.78
O: -0.060 -2.128 -0.715  -1.04
C: 1.038 -3.012 1.223  0.44
C: 0.251 -4.154 1.159  -0.34
C: 0.433 -5.181 2.077  -0.68
C: 1.405 -5.070 3.060  -0.37
C: 2.196 -3.928 3.123  -0.62
C: 2.014 -2.903 2.210  -0.31
H: -0.165 3.213 -4.275  0.30
H: 1.578 3.503 -4.101  0.35
H: 0.972 2.157 -5.094  0.33
H: 2.298 2.897 -1.977  0.22
H: 3.236 2.551 0.080  0.40
H: 2.502 1.405 1.230  0.34
H: 3.779 0.868 0.167  0.28
H: -0.496 -4.232 0.380  0.35
H: -0.183 -6.070 2.020  0.39
H: 1.551 -5.872 3.774  0.38
H: 2.959 -3.836 3.885  0.38
H: 2.621 -2.009 2.250  0.45
S: -4.056 -0.391 0.851  -0.24
C: -2.815 -0.938 -0.194  -0.07
N: -2.011 -0.033 -0.673  -0.04
C: -2.366 1.237 -0.172  -0.51
C: -1.693 2.422 -0.459  0.30
C: -2.151 3.583 0.124  -0.80
C: -3.265 3.574 0.978  -0.45
C: -3.929 2.402 1.269  -0.50
C: -3.461 1.224 0.681  0.61
H: -2.674 -1.988 -0.405  0.43
H: -0.822 2.427 -1.104  0.23
H: -1.637 4.513 -0.079  0.41
H: -3.603 4.502 1.420  0.38
H: -4.784 2.397 1.932  0.39

Properties
- 2S+1 = 2
- <S²> = 0.774
- LUMO (alpha / beta) (eV) = 0.273 / 0.206

---

# 2
Here is 2 unconnected molecules or ions with the total composition C7H8N2O2 from the Open Molecules 2025 dataset. Energies are from the ωB97M-V functional and the def2-TZVPD basis.

Each line ends with the Mulliken charge.
Positions of all 19 atoms, in Å:
C: -1.895 -0.553 -0.373  0.19
C: -0.609 -1.015 0.196  -0.56
C: 0.446 -0.041 0.706  0.72
C: 1.828 -0.509 0.983  -0.75
C: 2.660 -0.332 -0.456  0.68
C: 0.124 1.304 0.512  -0.62
C: -1.034 1.633 -0.339  -0.05
H: -3.567 -0.920 -1.249  0.29
H: -3.058 -2.028 0.709  0.35
H: -0.452 -2.124 0.071  0.35
H: 1.890 -1.493 1.373  0.39
H: 2.025 0.596 1.566  0.28
H: 1.532 1.330 -0.700  0.44
H: 0.524 2.295 1.132  0.22
H: -1.344 2.728 -0.462  0.34
N: -2.868 -1.434 -0.772  -0.63
N: -2.139 0.844 -0.716  -0.57
O: 2.394 0.777 -1.265  -0.52
O: 3.544 -1.058 -0.913  -0.56

Properties
- LUMO (eV) = -1.329

---

# 3
Here is 2 unconnected molecules or ions with the total composition C4H13NO2 from the Open Molecules 2025 dataset. Energies are from the ωB97M-V functional and the def2-TZVPD basis.

Each line ends with the Mulliken charge.
Positions of all 20 atoms, in Å:
C: 1.946 0.675 -1.115  -1.13
N: 1.227 0.434 0.105  0.14
C: 1.990 0.553 1.324  -1.10
C: 0.225 -0.606 0.032  -0.50
C: -0.853 -0.390 1.108  -0.40
O: -1.901 -1.345 0.943  -0.52
H: 2.653 1.485 -0.918  0.41
H: 2.511 -0.175 -1.458  0.38
H: 1.280 0.991 -1.910  0.31
H: 3.042 0.312 1.185  0.41
H: 1.639 -0.152 2.072  0.38
The text goes on =

Without new addresses, billions of people will never be able to use new-generation Internet services - and businesses should start gearing up for IPv6 sooner rather than later, he warns.

"Making the transition to IPv6 compatibility is not something with a direct financial gain right now, but the long-term overall cost in not deploying IPv6 now will be substantial for companies looking to grow," says Olivier.

"The costs will not just be in workarounds or buying more networking gear. Businesses that do not start moving across to IPv6 now will risk accessibility problems with their Web sites and services when more customers and network providers start using IPv6."

As IPv6 deployment progresses, those ISPs that have not invested in adopting IPv6 in their networks may find attracting new customers difficult, and may begin to lose existing customers who wish to proceed with their own IPv6 deployments, believes Olivier.

BWired is currently rolling out one of the first IPv6 networks in SA, on the back of a 1 000km ring of fibre around greater Johannesburg that will ultimately connect all local government offices and supply wholesale connectivity to local service providers.

Major network operators, Web sites and hardware vendors are starting to ready themselves for the new network, including IPv6 connectivity as part of their default product settings, says Olivier.

The costs for local businesses will be minimal, with "normal" infrastructure upgrades more than capable of providing the necessary conversion. For more than 90% of Web sites, no change would be needed, he says.

At present, the "dual stack" approach, where both IPv4 and IPv6 protocols are run, is the most effective approach. "You can run IPv4 and IPv6 side-by-side during the interim stage of migration, and can then gradually start phasing out IPv4," says Olivier.
